Waivers (I-601 and I-212) and Administrative Processes (221g)spouse
Where does he live in Mexico? I've found that even the tiniest villages have an AA program, and larger cities have one in most neighborhoods. The distance he would have to travel should be neglible.
GabachaYucatecaFemaleMexico2007-05-28 13:27:00
Waivers (I-601 and I-212) and Administrative Processes (221g)I 601 Q.
Yeah, it sounds like the backlogged waivers are all from June and July. There was one very random August approval though!
GabachaYucatecaFemaleMexico2007-06-03 13:42:00
Waivers (I-601 and I-212) and Administrative Processes (221g)I-601 waiver
If the agent told you to file a waiver, then I'd imagine that whatever his denial was for is covered under waiver applicability guidelines.
GabachaYucatecaFemaleMexico2007-05-31 19:15:00
Waivers (I-601 and I-212) and Administrative Processes (221g)I-601 waiting
Congrats, Morelia!!!!!!!!!!!!!!!!!!!!!!!!!!!

There have been soooo many approvals this week from the backlog!

And let's hope they keep on pushing through to get to kitkat's Novemeber waiver!

Edited by GabachaYucateca, 10 June 2007 - 03:43 PM.

GabachaYucatecaFemaleMexico2007-06-10 15:42:00
Waivers (I-601 and I-212) and Administrative Processes (221g)Brazilian illegal in US wanting to wed US citizen
Aaaahh....I see now. I responded quite rabidly to people's judgemental comments about filing waivers before, not realizing that this was the norm on this site.

Thanks for the explanation. Now I know that if anyone asks about filing a waiver, they should be refered elsewhere!
GabachaYucatecaFemaleMexico2007-07-23 13:33:00
Waivers (I-601 and I-212) and Administrative Processes (221g)Past Prison Time in Mexico a Problem? CIMT?
WMW...really not sure about the answers to your questions, but I'd recommend heading over to, as they are much less judgemental and scary over there.

And, as you have seen here, people who have NO input and NO clue how to answer your questions will come on here and not only cut you down, but make stupid, uniformed comments about your partner's country.

Many folks with waivers have learned to post elsewhere, and I recommend you do the same! Even if they can't help you directly, they can point you in the right direction and be encouraging.

**Records of molecules that have nothing to do with the page**
........
# C23H25AsF2O2PtS

C23H25AsF2O2PtS as an isolated structure (the ωB97M-V functional and the def2-TZVPD basis, OMol25).

## Properties
Relative energy (zero: lowest compared OMol25 entry of this formula, charge and spin), kJ/mol: 0.00
HOMO-LUMO gap, Eh: 0.27749

Geometry as ORCA input:
```
! wB97M-V def2-TZVPD RIJCOSX def2/J DEFGRID3
* xyz 0 1
Pt 1.05 -0.76 -1.54
C 0.45 -3.92 -1.61
O 0.31 -2.75 -0.80
C 0.58 -3.02 0.59
C 2.05 -3.03 0.91
O 2.50 -1.70 1.00
C 3.91 -1.58 0.93
H -0.05 -4.76 -1.13
H 1.49 -4.15 -1.80
H -0.05 -3.71 -2.56
H 0.13 -3.99 0.83
H 0.07 -2.25 1.17
H 2.60 -3.58 0.13
H 2.21 -3.56 1.86
H 4.39 -2.12 1.76
H 4.14 -0.52 1.00
H 4.28 -1.97 -0.02
S 1.93 1.20 -2.24
C 1.36 2.50 -1.20
C 1.85 3.79 -1.46
C 1.51 4.85 -0.65
C 0.65 4.68 0.44
C 0.13 3.42 0.68
C 0.48 2.35 -0.14
As -0.28 0.60 0.00
C -0.84 0.45 1.85
C -2.18 0.47 2.22
C -2.52 0.36 3.56
C -1.53 0.24 4.53
C -0.19 0.21 4.15
C 0.15 0.32 2.82
C -1.98 0.76 -0.94
C -2.69 -0.40 -1.19
C -3.90 -0.36 -1.88
C -4.38 0.86 -2.34
C -3.66 2.02 -2.11
C -2.47 1.98 -1.41
H 2.52 3.94 -2.30
H 1.91 5.83 -0.86
H 0.39 5.51 1.07
H -0.55 3.26 1.51
H -2.95 0.58 1.47
H -3.56 0.38 3.85
H -1.80 0.16 5.57
H 0.58 0.12 4.90
H 1.19 0.28 2.52
H -2.30 -1.36 -0.85
H -4.45 -1.27 -2.06
H -5.32 0.90 -2.89
H -4.04 2.97 -2.48
H -1.91 2.89 -1.24
F 3.00 -2.44 -2.74
C 1.95 -1.61 -3.15
F 2.52 -0.78 -4.08
H 1.27 -2.26 -3.70
*
```

Mulliken population analysis, charges in e, atoms 1 to 4:
1 Pt 1.311
2 C -0.980
3 O -0.215
4 C -0.636

----------

# 1
39
Properties=species:S:1:pos:R:3:mulliken_charge:R:1 method="wB97M-V/def2-TZVPD" orbital_gap_ev=10.1 lumo_ev=-0.263 e_tot_ha=-993.61882 de_lowest_kj_mol=405.4
O -0.060 -3.123 3.191 -0.60
O -2.385 -3.977 0.284 -0.62
O -1.203 -1.687 -2.076 -0.56
O -0.794 3.832 3.229 -0.64
O 2.269 2.381 2.820 -0.65
O 2.397 1.034 0.128 -0.49
O 2.410 -1.780 -1.537 -0.56
O -3.830 -1.615 -2.342 -0.62
O -3.316 1.615 1.609 -0.61
O 0.048 0.273 -0.084 -0.53
O 4.235 1.247 -1.158 -0.57
O -0.578 -1.062 -4.463 -0.62
O 0.689 2.977 0.695 -0.57
H 3.219 -1.662 -1.026 0.26
H -2.528 -3.429 -0.496 0.33
H -0.682 0.391 0.533 0.20
H 1.646 2.867 0.729 0.39
H -0.733 3.029 2.698 0.29
H -3.303 -1.813 -3.124 0.31
H 1.927 3.282 2.840 0.30
H -4.559 -2.245 -2.385 0.29
H 3.069 2.445 2.287 0.32
H 2.044 0.686 0.955 0.26
H -2.410 1.362 1.820 0.30
H -1.500 -0.786 -1.903 0.32
H -0.547 -0.118 -4.652 0.32
H 0.482 3.471 1.497 0.28
H 1.978 -2.534 -1.120 0.30
H -1.603 -4.497 0.066 0.30
H 4.382 1.264 -2.111 0.29
H 0.254 -3.433 2.334 0.29
H 1.614 1.273 -0.380 0.28
H -0.288 -1.583 -2.359 0.22
H -3.609 0.940 0.986 0.32
H 4.207 0.308 -0.942 0.26
H -1.697 3.822 3.567 0.32
H -0.296 -0.345 -0.740 0.27
H 0.348 -1.326 -4.436 0.32
H -0.484 -2.280 2.995 0.31

# 2
39
Properties=species:S:1:pos:R:3:mulliken_charge:R:1 method="wB97M-V/def2-TZVPD" orbital_gap_ev=8.8 lumo_ev=-0.164 e_tot_ha=-993.49968 de_lowest_kj_mol=718.2
O 1.921 0.234 3.404 -0.59
O 1.000 2.692 -0.515 -0.59
O -0.201 2.002 2.908 -0.67
O -1.760 1.705 -3.632 -0.61
O 1.274 -1.389 -4.483 -0.61
........

GabachaYucatecaFemaleMexico2007-10-26 17:58:00
Waivers (I-601 and I-212) and Administrative Processes (221g)Would this kill my chances at proving hardship?
Hmmm...I definitely think it's awfully when the dad has to go back to his country and misses out on big events in his child's life because of the wait. But 14 years? In 14 years she has never taken their child to her father's country to visit him? I don't know the specifics, but that sounds bizarre.
GabachaYucatecaFemaleMexico2007-04-10 14:36:00
Waivers (I-601 and I-212) and Administrative Processes (221g)Waiver question
I'm so sorry to hear that. sad.gif
GabachaYucatecaFemaleMexico2008-04-22 13:08:00
Mexico, Latin & South AmericaCheap rates to Mexico
The best news I've gotten in a long time was that now when calling Mexican cell phones, the person receiving the call doesn't pay anything. We only communicated by text before that, as his credit was eaten up so quickly when I called him.

If you have a cell phone, check to see if the company doesn't have a discount dialing plan. I've got TMobile and pay five dollars a month for discount dialing and I'm only charged 5 cents a minute to call him.

It's worked out REALLY well and we talk a lot more often now.
GabachaYucatecaFemaleMexico2007-01-28 16:54:00
Mexico, Latin & South AmericaEnglish Program
Al leer su mensaje de nuevo, me parece que algo mas esta tiene nada de sentido que un curso de ingles cueste parece que su esposo le esta intentando a aislar en no dejar que busque los recursos necesarios.

== Quantum chemistry results that have nothing to do with the entry ==
┌──
(1)
# C3H11NS

A cluster of 2 separate species, C3H11NS in total at a distorted geometry (the ωB97M-V functional and the def2-TZVPD basis, the OMol25 dataset).

```
16
Properties=species:S:1:pos:R:3:forces:R:3
C -1.447265 -0.078798 1.670459 1.0 0.2 0.2
N -0.773523 0.098314 0.328855 -2.2 -0.3 0.5
C -0.733280 1.509164 0.039926 -0.7 2.2 -0.7
H -1.189153 -1.066276 2.064301 -0.3 0.1 -0.1
H -1.068396 0.663720 2.415795 0.1 -0.5 -0.8
H -2.524316 0.097255 1.638589 0.0 -0.3 -0.2
H -1.407360 -0.343474 -0.379574 0.9 0.4 0.8
H 0.624402 -0.485841 0.137247 1.6 -0.4 0.2
H -1.744425 1.996226 0.167525 0.6 -0.5 -0.5
H -0.339812 1.750849 -0.982057 -0.4 -0.4 0.9
H -0.149570 2.098325 0.762217 0.4 -0.7 -0.1
C 2.129246 -1.273266 -1.721724 0.9 -0.3 1.1
S 2.093958 -0.853277 0.081821 -1.0 0.1 -0.7
H 1.562158 -2.166337 -1.903521 -0.4 -0.3 -0.2
H 1.798573 -0.466629 -2.327271 -0.4 0.7 -0.5
H 3.168759 -1.479961 -1.992582 -0.1 0.0 0.1
```
Forces are in eV/Å.

Charge   0
E_HOMO   -7.82 eV
ΔE to the lowest compared entry with this formula, charge and spin   26.8 kcal per mole
Gap between HOMO and LUMO   8.60 eV



(2)
# C3H11NS

A cluster of 3 separate species, C3H11NS in total at a distorted geometry (the ωB97M-V functional and the def2-TZVPD basis, the OMol25 dataset).

```
16
Properties=species:S:1:pos:R:3:forces:R:3
C 0.998127 0.396652 1.803430 -0.2 -0.1 0.0
C 0.534789 -0.880560 1.103738 -0.6 0.0 0.2
N -0.943414 -0.985202 0.978504 0.5 0.5 -0.8
H 2.089757 0.465179 1.877036 -0.2 -0.1 0.0
H 0.631005 1.256305 1.242650 0.1 0.1 0.2
H 0.559726 0.422765 2.811604 0.2 0.1 -0.2
H 0.951035 -0.948354 0.094282 0.0 0.0 0.1
H 0.901423 -1.733670 1.684655 -0.1 -0.1 -0.3
H -1.303143 -0.196219 0.390072 0.5 -1.4 1.5
H -1.386914 -1.022002 1.882198 -0.1 0.2 0.2
H -2.143991 -0.150727 -1.199513 2.6 2.9 0.4
C -0.175934 0.619845 -2.670975 1.3 -0.1 -0.3
S -0.711186 1.238073 -1.091044 -3.7 -2.1 -0.9
H 0.264263 -0.365334 -2.489034 -0.1 0.1 -0.4
H -0.915263 0.586727 -3.477337 0.1 0.2 0.4
H 0.649718 1.296523 -2.940265 -0.2 -0.2 -0.3
```
Forces are in eV/Å.

Charge   0
E_HOMO   -8.82 eV
ΔE to the lowest compared entry with this formula, charge and spin   70.0 kcal per mole
Gap between HOMO and LUMO   7.81 eV



(3)
# C3H11NS

A cluster of 2 separate species, C3H11NS in total at a distorted geometry (the ωB97M-V functional and the def2-TZVPD basis, the OMol25 dataset).

```
16
Properties=species:S:1:pos:R:3:forces:R:3
C -2.942281 -2.083313 0.115248 -0.4 -0.9 -1.9
S -2.378345 -1.288954 1.694834 1.5 -3.5 0.3
H -2.454010 -1.489091 -0.761652 -1.6 -0.8 1.5
H -4.048589 -2.033615 0.287893 0.9 0.4 -1.2
H -2.801506 -3.222276 -0.250306 0.4 2.4 1.8
C 2.200179 2.190036 -0.804444 2.1 0.3 -2.3
N 1.970770 0.681874 -0.795111 -1.9 3.1 -0.1
C 1.078579 0.451880 0.371207 0.6 -1.9 -0.1
H 1.586374 2.824931 -0.118365 -0.8 -0.5 -1.4
H 2.441579 2.507174 -1.956271 -1.4 -0.2 2.8
H 3.155221 2.486784 -0.349965 0.4 -0.9 0.0
H 1.329003 0.531972 -1.600070 0.9 0.0 0.5
H -1.797925 -2.547882 2.185280 -0.8 2.4 -0.5
└──

Por mi parte, se que es dificil a enseñar a su pareja maestra de ingles y mi comprometido aprendio ingles en su trabajo, no conmigo. Que mala soy, pero despues de dar clase 8 horas al dia, no me quedeban las ganas a seguir ensenañando a un alumno bien terco. :) Pero cuando llegue en los EEUU, voy a hacer mi mparte para apoyarle en aprendir...nunca quisiera que se siente triste ni aislado por una falta de le va a hacer muy dificil acostumbrarse de todos modos.

Pues, me parece que hay mas problemas con esta persona que no poder encontrar clase de ingles economico.
GabachaYucatecaFemaleMexico2007-02-07 12:40:00
Mexico, Latin & South AmericaEnglish Program
No se en que parte de Georgia estas, pero me imagino que hay bastante cursos de ingles gratuitos por Atlanta...en la biblioteca, un centro comunitario....hay miles de organziaciones sin fines de lucro en este pais que proveen clases gratuitos. De hecho, estoy escribiendo este mensaje mientras mis alumnos de ESL estan practicando su vocabulario en sus compus.

En que pueblo o cuidad vives?
GabachaYucatecaFemaleMexico2007-02-07 12:33:00
Mexico, Latin & South AmericaGoing to spouses country to await immigration
To quote my vet (she was talking about my dog, not a human baby), "There must be some sad, funny looking kids out there...because that one got a double dose of cute!"

What a precious child.
GabachaYucatecaFemaleMexico2007-03-02 19:17:00
Mexico, Latin & South AmericaGoing to spouses country to await immigration
Hot water isn't a necessity in the Caribean...I lived without it for four years, and only really needed to heat hot water on the stove in Nov-February.
GabachaYucatecaFemaleMexico2007-03-01 19:03:00
Mexico, Latin & South AmericaWhere are you from?
USC: Pawtucket (aka The Bucket), Rhode Island
Fiance: Chichimila, Yucatan, Mexico (first two decades of his life) to Cancun, Quintana Roo, Mexico.
GabachaYucatecaFemaleMexico2007-02-09 19:43:00
Mexico, Latin & South AmericaHow did you meet?
I randomly chose his village to do my field work for my undergrad thesis. I didn't know anybody there, so I sat in the park, this girl came by and picked me up, brought me to her house for lunch, and she and her mother moved me into the house next door. Because they had a bit more money than the family I was staying with, and had a more stable home, I ate at their house every day and bathed in their bucket from water heated on their stove. he was the youngest son in the family, and for weeks would show up everywhere I was, take me swimming, talk to me for hours, and flirt with me. I thought it'd just be a very hush-hush fling (doing research and sleeping with one of your subjects is a no-no!) but after I finished my thesis, I moved to Mexico and he moved from his village to live with me.
GabachaYucatecaFemaleMexico2007-02-28 19:08:00
Mexico, Latin & South AmericaLetting Him in...
My students were asking me about Edgar today, and said, "Well, of course you taught him're an ESL teacher!" But he actually learned what he knows from working with tourists. And then another chimed in and said at least I probably switched to Spanish when arguing...nope, it's much easier to argue in Spanish...I have more practice! It's hard for me to express myself when angry in English.

He is still shocked that I don't understand Maya...can't quite figure out why I haven't picked it up along the way. I guess he thought I'd learn it by osmosis.
GabachaYucatecaFemaleMexico2007-04-11 18:53:00
Mexico, Latin & South AmericaLetting Him in...
It's funny...Edgar only rarely will speak English with me. He says I make him nervous but he can yap away with customers where he works just fine. I asked if he thought we'd start speaking in English together in the States, but he says,'s been too long in Spanish to make the change. When I try it feels forced.
GabachaYucatecaFemaleMexico2007-04-10 14:32:00
Mexico, Latin & South AmericaLetting Him in...
Thanks for the view from the other side, Ana. I'm going to try my damndest to NOT do what he did when I was living in Mexico. Whenever I had a complaint or comment about life there, he made it seem like a personal affront to him. Of course, I can be pretty bitchy in my comments, so I imagine that my tone didn't help things. :)

I'm also more idependent than he, so I actually didn't need him to help me figure things out! But I actually like and thrive in a baptism by fire type of experience. I'll be much gentler with him, especially since he's not fluent in English. I'd like to give him "homework" assignments like going to the library and taking a book out on his own, but a friend said that was cruel! Actually, I suggested getting him a bus pass and having his day's assignment be to go to another city and find his way back! For me that would be exciting, but I think for others it might be scary!
GabachaYucatecaFemaleMexico2007-04-02 19:09:00
Mexico, Latin & South AmericaLetting Him in...
Good question, bdesj! I will answer that in a couple of years!

And I loved your answer, mononoke...I like your attitude, and I hope that I have the same one come June!
GabachaYucatecaFemaleMexico2007-03-27 18:20:00
Mexico, Latin & South AmericaLetting Him in...
Thanks for these thoughtful responses!

I especially liked what you said about gravitating toward similar couples...and yes, we will live in a culturally diverse area!

We've tried to speak English together, and it just doesn't work! I asked him on the phone a few nights ago if e thought that we'd speak more English in the States, or even if he wanted to. He agreed that we were kind of past that point to be able to, but my father is already planning on doing a lot of stuff with Edgar (like taking him out on errands, planning to teach him to fly fish) so that'll be excellent practice for him. And I teac ESL, so I can give him homework while I'm working!
GabachaYucatecaFemaleMexico2007-03-25 12:48:00
Mexico, Latin & South AmericaLetting Him in...
Where will you live? Not the exact address, just the city or state.

Don't want you to think I'm a weirdo! :)
GabachaYucatecaFemaleMexico2007-03-24 22:55:00
Mexico, Latin & South AmericaLetting Him in...
X-posted in moving here forum

I'm interested in hearing about people's experiences with finally having their partner in the US when they've never been here before.

We've been together for so long, and I know his world so well. In fact, I lived in it for 5 years. Even when I went to visit him, it felt like going home since everything was so familiar to me. But I don't know how to act as a non-English speaking couple in the States! I'm perfectly comfortable with this in Mexico, but I have the feeling that once he's here, I'll never see the place that I spent the first 18 years of my life and the last 2 the same way again.

I know that we'll never really be fully part of the community I come from, nor fully part of the Latino population here. Not a bad thing by any means, as I'm always happiest and most alive when I'm slightly uncomfortable, but this'll be a whole new world for me here too.

This hasn't really come out as a question, but I guess I'm wondering if you all felt, well, weird to have your limited English speaking SO with you at first.
GabachaYucatecaFemaleMexico2007-03-23 21:48:00
Mexico, Latin & South AmericaAOS Approved!!!
Yay! I felt so horrible for you when I first read of your AOS situation. But I'm thrilled that everything worked out!
GabachaYucatecaFemaleMexico2007-04-11 18:55:00
Mexico, Latin & South AmericaBuying Cuban Fiance's plane ticket to US
I wonder if he could fly into Cancun. Mexican immigration is pretty strict with Cubans so perhaps Canada would be easier depending where you are.

If he could fly through Cancun, there are many direct flights to the States. However, as I said...immigration there may be a b*tch. If this really interests you, I could put you in touch with someone who works in immigration in Cancun.
GabachaYucatecaFemaleMexico2007-04-11 19:15:00
Mexico, Latin & South AmericaCalling Cards to your fiancee's country

Do you get that super duper rate when calling cell phones or only landlines?

I currently am charged 5 cents a minute with T-Mobile's discount dialing to Mexico, but they'e finally caught on to Mexico's el quien llama paga thing, and will be raising the rates.
GabachaYucatecaFemaleMexico2007-04-23 19:35:00
Mexico, Latin & South AmericaWho plans on living outside the USA?
Sometimes I get so frustrated with things here that I want to say screw it and move to Mexico.
GabachaYucatecaFemaleMexico2007-03-23 21:49:00
Mexico, Latin & South AmericaWho plans on living outside the USA?
Hi Belize! Believe it or not, I never even thought about your reasoning behind the non-USC spouse moving to the States, but it makes a whole lot of sense. His wanting to move is for two reasons: 1)I was getting to feel unhappy living in Mexico and 2) we're both sick of the treatment workers get in Mexico with no job stability and working like a dog for little to no money. And anything that we'd like to do in Mexico (even as simple as having his own taco cart) requires money that he'll never be able to get from working in Mexico.

In an incomplete nutshell, my thesis examined Yucatec Mayans' perceptions of Cancun and how migration to Cancun for work changed the village. My personal life merged with my academic life when I fell for a Yucatec Maya who decided to move to Cancun for work because he had no options in his village! But our courtship and the first six months of our relationship took place in his village, and we later moved to Cancun, where I spent five years.
GabachaYucatecaFemaleMexico2007-03-01 17:15:00
Mexico, Latin & South AmericaWho plans on living outside the USA?
I even want to move back to Mexico right now even while waiting for my NOA2! He's never been here before, and I don't know how he'll feel about living here. I'd like to think that we can stick it out long enough for him to get his citizenship, but only time will tell.

I also need some time to finish my Master's and get to a point where I can freelance from home to make money, because I can't go back to working for a Mexican company. We'd never be able to afford a car, house, and kids on what we'd earn. So, the plan is to save money, build some capital and move back.
GabachaYucatecaFemaleMexico2007-02-28 19:02:00
Mexico, Latin & South America5 dias para mi entrevista
Que tengas buen viaje!
GabachaYucatecaFemaleMexico2007-06-10 14:56:00
Mexico, Latin & South America5 dias para mi entrevista
Felicidades, mami!!! Ya mero viajas...y que chido que llamaron directo para avisarte.

Que tengas un viaje marvilloso.
GabachaYucatecaFemaleMexico2007-06-06 19:23:00
Mexico, Latin & South America5 dias para mi entrevista
Cuando le conoci, el no hablaba nada de ingles...ahora lo habla, pero solo porque esta trabajando en Cancun, y tuvo que aprendir de necesidad.

Vivia en Cancun con el, pero regrese aqui en el 2005.

Espero que se te hayan pasado los nervios! Falta poco que tengas la aprobacion!
GabachaYucatecaFemaleMexico2007-06-03 17:40:00
Mexico, Latin & South America5 dias para mi entrevista
Ah, di cuenta mas adelante que menocionaste que estas en Viena.

Nos conocimos en su pueblo en el 2000 cuando me fui alla para hacer mis investigaciones para mi tesis. De hecho, fue su hermana quien me llevo en su casa. Nunca me imaginaba como iba a cambiar mi vida cuando escogi su pueblo a visitar a lo loco...pero 7 anos despues, seguimos juntos!

Que todo salga perfecto manana!
GabachaYucatecaFemaleMexico2007-06-03 11:39:00
Mexico, Latin & South America5 dias para mi entrevista
Carla: no tengo ningun consejo mas que mantente tranquila y di la verdad, y todo saldria bien! Y muchisima suerte!

Que mala onda (por mi :)) que son tres de este foro (tu, el novio de TijuanaHilton, y Janet y Edgar) van a estar en Juarez el mismo tiempo. Nosortos no vamos hasta el 18 de junio. Y mi pobrecito se esta muriendo de nervios igual. Mi cunada (futura) me comento que no esta durmiendo y se esta desperando mucho. Pues, hay mucho nuevo para concoce los eeuu, ni siquiera conoce muchas partes de su propia pais!

Pues, suerte otra vez y no se te vaya olvidar contarnos de tu experiencia en el hilo del consulado de Juarez!
GabachaYucatecaFemaleMexico2007-06-02 16:48:00
Mexico, Latin & South AmericaI-601
There was an overhaul on the I2US site and it seems you now have to rereigister. You should also look at the Juarez forum, which has steady info about the status of waivers.

I've seen approvals from September coming through now.
GabachaYucatecaFemaleMexico2007-07-11 18:07:00
Mexico, Latin & South Americatwo last names
nessandcharles: his middle name isn't doe, it could be angel or javier or miguel. His last name is Doe Smith.

I had wanted to see if he couldn't drop his mother's name, but for simplicity's sake (I'd rather have people massacre the pronunication of his second last name than have questions about his identity) we're trying to stick to his two last names.

We just went to the SS office and I asked how it'd appear on his card, and the man said that both last names would be included. I have heard of other people who's second surname had been dropped by some agency along the way.
GabachaYucatecaFemaleMexico2007-07-11 18:05:00
Mexico, Latin & South AmericaMy Overall Plan
We're planning (well, I'm planning, but he hasn't raised any objections yet) to first do the civil part in the States and then have a big party in Mexico once he can travel.

And, just to reiterate what kitkat VERY careful about terms. And just to be on the safe side, if you do the ceremony in Mexico, leave out any pictures of that day in your evidence.

My fiance has been calling me his wife for the past five years. I, on the other hand, just started refering to him as my fiance in the past few months.
GabachaYucatecaFemaleMexico2007-06-12 19:16:00
Mexico, Latin & South AmericaWhere are the DVDs in Brazilian Portuguese?
Funny that you made that comment, Luis&Laura...just yesterday my husband said to me, "I think I'm ready to watch movies in English if we put the subtitles on in English too!"
GabachaYucatecaFemaleMexico2007-07-24 13:57:00
Mexico, Latin & South AmericaWhere are the DVDs in Brazilian Portuguese?
Bora Bora: you just gave me flashbacks to that one horrid night when there was a Rocky marathon on TV. I tried to doze off or read, but he wanted me to watch it with him.

He also likes to relive the good parts by repeating the dialogue to me. And then he tries to get me to help him replay the fight scenes. Unfortunately I bruise easily so I think people wonder if I'm abused.

Oh, lord, I miss him.
GabachaYucatecaFemaleMexico2007-04-16 18:15:00
Mexico, Latin & South AmericaWhere are the DVDs in Brazilian Portuguese?
Action movies...little dialogue. Sounds familiar.

I would be a happy woman if I never had to see Blood Sport again, either in English or dubbed in Spanish.
GabachaYucatecaFemaleMexico2007-04-15 19:58:00
Mexico, Latin & South AmericaHow Did You Propose?
That's very sweet, theronin! I'm so glad it went well.

My hubby "proposed" to me by saying, "Que pedos? Nos vamos a casar o que?" Needless to say, I wept with emotion over this romantic outpouring. smile.gif
GabachaYucatecaFemaleMexico2007-09-24 09:11:00